Good Regulated Sports To Take Care Of Your Health, Is It OK When You Are Sick?

YOGYAKARTA Exercise needs to be done regularly for useful results. When you are mildly ill, it's okay to exercise. But when you suffer from certain diseases, it is important to take a break.

Exercise helps improve the immune system. But can exercise when a weak body is followed by fever? It's natural that you want to continue exercising even when you feel unwell. Many experts use the rules, if you get sick on your neck, such as stuffy nose, sneezing, or earache, you can exercise with light intensity and shorter time. That's even if you are still able to move.

If you experience pain in the lower area of your neck, such as nausea, body pain, fever, diarrhea, cough, fever, shortness chest, you should rest and not exercise until you feel better. The following is an explanation of diseases that are still allowed or safe for exercise.

Light spots are caused by viral infections in the nose and throat. When experiencing it depends on how the condition is. Most people will have symptoms of sneezing, nasal congestion, and headaches to mild coughs. If you still have the energy to exercise, the best solution is to choose relaxed exercise such as walking outside the home rather than exercising heavily.

Hearing pain can be caused by sinus infection, sore throat, dental infection, or changes in pressure. Certain types of ear infection may cause a person to lose balance and cause fever. If followed by other symptoms, exercise is not safe. For that, before deciding to make sure the symptoms and medical diagnosis.

The nasal congestion is uncomfortable, if accompanied by fever or other symptoms such as coughing fast or shortness chest, consider taking a break in exercise first. If the nose is clogged, exercising can even help open the nasal channel so that it helps breathe better.

**Between two parts of the page: records of crystals:**
/*
Material: Ca4Cd3Au5
Method: DFT, PBE
State: relaxed

Structure (extended XYZ):
```
12
Lattice="7.422 0.000 0.000 0.000 4.382 0.000 -0.026 0.000 8.835" Properties=species:S:1:pos:R:3 pbc="T T T"
Ca 0.000 0.000 0.000
Ca 0.570 2.191 3.314
Ca 3.572 0.000 7.662
Ca 4.235 2.191 4.522
Cd 2.920 0.000 2.212
Cd 5.033 2.191 1.135
Cd 6.647 0.000 5.563
Au 1.325 2.191 6.646
Au 2.100 0.000 4.927
Au 2.115 2.191 0.575
Au 5.821 0.000 2.811
Au 5.803 2.191 7.221
```

## Properties
- E_tot (eV/atom) = -2.907
- volume (Å³ per atom) = 23.95
- crystal system = monoclinic
- E_form (kJ/mol of formula units) = -745

Material: SrCu2O3
Method: DFT, PBE
State: relaxed

Structure (extended XYZ):
```
12
Lattice="3.975 0.000 0.000 0.000 11.572 0.000 0.000 0.000 3.563" Properties=species:S:1:pos:R:3 pbc="T T T"
Sr 0.994 2.893 0.060
Sr 2.981 8.679 3.503
Cu 0.994 6.770 1.737
Cu 0.994 10.589 1.737
Cu 2.981 0.983 1.826
Cu 2.981 4.803 1.826
O 0.994 0.923 1.813
O 0.994 4.863 1.813
O 0.994 8.679 1.666
O 2.981 2.893 1.897
O 2.981 6.709 1.750
O 2.981 10.649 1.750
```

## Properties
- E_tot (eV/atom) = -5.461
- volume (Å³ per atom) = 13.66
- crystal system = orthorhombic
- E_form (kJ/mol of formula units) = -974

Material: LaCeC4
Method: DFT, PBE
State: relaxed

Structure (extended XYZ):
```
12
Lattice="5.486 0.000 0.000 0.000 6.463 0.000 0.000 0.000 5.487" Properties=species:S:1:pos:R:3 pbc="T T T"
La 0.000 0.000 0.000
La 2.743 3.231 0.000
Ce 0.000 3.231 2.744
Ce 2.743 0.000 2.744
C 0.000 0.656 2.744
C 0.000 2.583 0.000
C 0.000 3.880 0.000
C 0.000 5.807 2.744
C 2.743 0.648 0.000
C 2.743 2.576 2.744
C 2.743 3.887 2.744
C 2.743 5.814 0.000
```

## Properties
- E_tot (eV/atom) = -8.100
- volume (Å³ per atom) = 16.21
- magnetization (Bohr magnetons per cell) = 0.4
- crystal system = orthorhombic
- E_form (kJ/mol of formula units) = -78

Material: Al2O3
Method: DFT, PBE
State: relaxed

Structure (extended XYZ):
```
10
Lattice="1.337 -4.477 0.000 1.337 4.477 0.000 0.000 0.000 7.045" Properties=species:S:1:pos:R:3 pbc="T T T"
Al 0.000 0.000 0.000
Al 0.000 0.000 3.523
Al 1.337 2.274 5.284
Al 1.337 -2.274 1.761
O 1.337 3.516 1.761
O 1.337 1.193 0.564
O 1.337 1.193 2.958
O 1.337 -1.193 4.087
O 1.337 -1.193 6.481
O 1.337 -3.516 5.284
```

## Properties
- E_tot (eV/atom) = -7.201
- volume (Å³ per atom) = 8.43
- magnetization (Bohr magnetons per cell) = 0.0
- crystal system = orthorhombic
- E_form (kJ/mol of formula units) = -1518

Material: Tm5Pt3
Method: DFT, PBE
State: relaxed

Structure (extended XYZ):
```
16
Lattice="8.361 0.000 0.000 -4.181 7.241 0.000 0.000 0.000 6.074" Properties=species:S:1:pos:R:3 pbc="T T T"
Tm -1.027 1.780 1.519
Tm -3.153 5.461 4.556
Tm 2.055 0.000 1.519
Tm 1.027 1.780 4.556
Tm 0.000 4.827 0.000
Tm 0.000 4.827 3.037
Tm 4.181 2.414 0.000
Tm 4.181 2.414 3.037
Tm 6.306 0.000 4.556
Tm 3.153 5.461 1.519
Pt -1.649 2.857 4.556
Pt -2.531 4.384 1.519
Pt 3.298 0.000 4.556
Pt 1.649 2.857 1.519
Pt 5.063 0.000 1.519
Pt 2.531 4.384 4.556
```

## Properties
- E_tot (eV/atom) = -6.127
*/
**The page goes on:**

Sore throat is usually caused by infection with the common cold virus. In certain situations, such as sore throats accompanied by fever, you have to postpone exercise until you are sick with recovery. However, if you experience mild sore throat caused by something like the common cold or allergies, exercise is most likely safe. Launching Healthline, Monday, September 23, if you experience other symptoms that are often associated with common colds. Like fatigue and nasal congestion, consider reducing the intensity of normal exercise routines.

The above is an explanation of a disease that is still safe for exercise even though you must fully recognize the symptoms you feel. But if you follow fever, cough too often, stomach pain that causes vomiting, diarrhea, and nausea, as well as flu symptoms, it is important not to exercise first.